By Emily Hay, April 3rd, 2018
On July 1 st this year, Coles and Woolworths will cease handing out free plastic bags and will instead charge a levy of 15 cents per bag, for a thicker and stronger version, that can be reused. In a way, this is a win for the environment, because it is movement on an issue that has stagnated for years. The Federal Government is unwilling to tackle the problem, leaving state governments to make up the rules as best they can. To date, all the states except for New South Wales have a bag ban in place or are implementing one this year.
However, all the bans are for single use plastic bags only, and not for thicker plastic bags. The only difference on July 1 st will be that people will be charged for bags – this is a good thing – people are motivated by fines – and the bags will be much thicker.
But is this a good thing for the environment?
It is certainly a good thing for Coles and Woolworths, who not only will be seen to be proactive in the continuing plastic bag dilemma, but instead of handing out bags for free, will now charge for them, and make a profit. Win, win.
There are several likely outcomes for this move. Some people will become motivated by both the levy and the obviously thicker and therefore possibly not- good-for- the-environment plastic bags and buy a bunch of reusable bags. They are sorted.
Some people may decide to reuse the thicker plastic bags and get value for their 15 cent investment. But this will mean heading out to do the shopping whilst looking like a daggy Santa with a sack of bags who is a big fan of supermarkets – not a good look. And the bags are unlikely to last for more than 10 uses, if that. I predict that this group will fall on its sword the fastest, and simply keep buying more thick bags, occasionally remembering to reuse them. After all, at 15 cents a pop, if you use 10 bags at the supermarket, $1.50 out of the shopping budget is a small price to pay.
Some people just won’t care, and won’t think twice. As said, $1.50 is small fry.
And then there are the smug, annoying people such as myself, who use their reusable bags, the same ones they have been using for years. They happily do their shopping with their bags, cheerfully striding through the shopping centre with their colourful trolleys and come home plastic free (apart from unavoidable packaging). They feel good. They don’t even look superior anymore – that passed a long time ago. They just know that doing the right thing is actually quite easy and wonder why more Australians do not seem to ‘get it’.
According to research, experience and data collection in other countries – this new levy, thicker plastic bags and no single use ones will almost certainly have some success, and the supermarkets will crow with jubilation, likewise probably the Government will manage to take some credit. But long term, it is unlikely to work. In Ireland, the first country to bring in a levy, after initial success people went back to their old habits of using lots of plastic bags, and absorbed the 15 pence (22 cent) levy. In the US, when a 5 cent levy was introduced, 40% of people continued to use plastic bags. Also in the US, studies have shown that the thicker, reusable bags were simply thrown away.
I predict that in a few years, a good majority of people will be back to their old habits, and from July 1st thicker plastic bags will be entering the environment. Unless adequate, efficient, cost effective systems for recycling are set up, and especially now that China has shut the door to taking our rubbish, Australia will be dealing with a far bigger plastic bag problem than before.
So what will work?
Inevitably the Federal Government needs to take the lead, and ban all plastic bags, everywhere. This would be a drastic step, but it would certainly be effective. Alternatively, the government could legislate for a significantly higher than 15cents levy on plastic bags, thick and thin. Levies do work, and the higher they are, the more impact they have on people’s behaviours. A portion of the levy could be used to set up new recycling systems in Australia, combined with programs to educate the public, such as has been implemented in other countries. The profits of the sale of plastic bags could be channelled into achieving a far better outcome than what is currently on the table.
# Attached: data records
********
# 1
Here is C33H32BrN5O3RuS as an isolated structure from the Open Molecules 2025 dataset. Energies are from ωB97M-V/def2-TZVPD.

```
! wB97M-V def2-TZVPD RIJCOSX def2/J DEFGRID3
* xyz -1 2
Ru -1.83 -0.42 -0.32
N -2.74 1.35 -0.97
C -3.77 1.19 -2.01
C -5.04 0.57 -1.44
C -4.94 -0.90 -1.01
O -5.98 -1.52 -0.82
O -3.75 -1.38 -0.88
H -3.12 1.83 -0.16
H -1.97 1.93 -1.31
H -3.35 0.55 -2.78
H -4.02 2.16 -2.46
H -5.84 0.63 -2.18
H -5.38 1.14 -0.57
C -0.24 0.64 -0.22
C 0.71 1.45 -0.28
C 1.87 2.20 -0.33
C 2.89 1.94 0.70
C 2.50 1.55 1.99
C 3.44 1.23 2.96
C 4.80 1.30 2.67
C 5.20 1.68 1.39
C 4.27 2.00 0.42
C 2.07 3.20 -1.38
C 3.01 4.24 -1.26
C 3.15 5.19 -2.25
C 2.37 5.14 -3.40
C 1.42 4.13 -3.53
C 1.27 3.18 -2.54
H 1.45 1.49 2.21
H 3.11 0.93 3.94
H 5.54 1.05 3.42
H 6.26 1.72 1.15
H 4.59 2.27 -0.57
H 3.61 4.31 -0.36
H 3.88 5.98 -2.13
H 2.49 5.89 -4.18
H 0.80 4.08 -4.41
H 0.53 2.40 -2.64
C 0.73 -4.08 -2.54
N -0.37 -3.18 -2.80
C -0.32 -1.84 -2.54
N 0.92 -1.30 -2.35
O -1.36 -1.17 -2.52
H 0.41 -5.10 -2.76
H 1.06 -4.06 -1.49
H 1.58 -3.85 -3.18
H -1.31 -3.54 -2.69
H 1.65 -1.90 -2.01
H 0.87 -0.39 -1.88
N -2.83 -3.64 -0.14
C -1.58 -3.48 0.33
N -0.90 -2.36 0.32
C 0.37 -2.57 0.87
C 1.38 -1.62 1.01
C 2.60 -2.00 1.55
C 2.85 -3.31 1.95
C 1.86 -4.27 1.81
C 0.64 -3.88 1.27
S -0.74 -4.89 0.96
H -3.41 -2.78 -0.28
H -3.30 -4.48 0.12
H 1.21 -0.60 0.71
H 3.37 -1.24 1.67
H 3.81 -3.58 2.37
H 2.03 -5.29 2.12
Br -3.56 0.97 6.07
C -3.06 0.59 4.26
C -1.72 0.55 3.91
C -1.37 0.28 2.60
C -2.31 0.02 1.58
C -3.65 0.07 2.01
C -4.03 0.35 3.32
H -0.96 0.74 4.66
H -0.31 0.27 2.35
H -4.45 -0.15 1.30
H -5.08 0.37 3.59
*
```

Calculated values
- relative energy (zero: lowest compared OMol25 entry of this formula, charge and spin) (eV) = 0.248
- gap between HOMO and LUMO (alpha / beta) (eV) = 5.52 / 6.13
- F_max (eV/Å) = 0.47
- E_LUMO (alpha / beta) (eV) = 2.2 / 2.1
- highest occupied orbital energy (alpha / beta) (eV) = -3.28 / -4.06
- DFT total energy (a.u.) = -4843.45107

# 2
Here is C33H32BrNOPSn as an isolated structure in a non-equilibrium geometry from the Open Molecules 2025 dataset. Energies are from ωB97M-V/def2-TZVPD.

```
! wB97M-V def2-TZVPD RIJCOSX def2/J DEFGRID3
* xyz 1 1
Sn 9.54 4.52 15.69
C 9.00 0.98 17.84
C 9.71 0.15 16.80
C 9.10 -1.30 16.84
C 9.60 0.72 15.41
C 8.34 0.88 14.75
C 8.22 1.39 13.48
C 9.33 1.83 12.79
C 9.28 2.67 11.54
C 10.57 1.65 13.40
C 10.71 1.09 14.62
H 8.81 0.31 18.71
H 8.12 1.37 17.42
H 9.55 1.84 18.25
H 10.76 0.09 17.04
H 8.02 -1.27 16.73
H 9.32 -1.88 17.73
H 9.44 -1.86 15.94
H 7.49 0.49 15.27
H 7.23 1.51 13.06
H 9.96 3.55 11.58
H 8.23 3.10 11.41
H 9.48 2.12 10.59
H 11.50 2.03 12.83
H 11.70 1.00 15.03
O 11.01 10.65 14.26
C 10.76 9.36 14.48
C 9.82 8.65 13.71
C 9.53 7.38 14.06
N 10.13 6.71 15.05
C 11.05 7.39 15.71
Br 12.11 6.38 16.88
C 11.40 8.68 15.46
H 10.52 10.94 13.47
H 9.32 9.13 12.88
H 8.93 6.78 13.42
H 12.11 9.17 16.08
C 4.43 1.28 15.86
C 5.05 1.91 16.92
C 5.81 3.08 16.65
C 5.92 3.57 15.38
C 5.25 2.93 14.35
C 4.58 1.76 14.55
P 6.91 5.05 15.01
********
However given the current impasse in politics, from July 1st, it appears that inevitably the supermarkets will be the winners, not the environment.
Woolworths’ new thicker reusable plastic bags that are to replace single-use plastic bags.